____________
[1]
This record from the Open Molecules 2025 dataset describes 2 unconnected molecules or ions with the total composition C3H4ClNO at a distorted geometry. The level of theory is ωB97M-V with the def2-TZVPD basis set.

Computed properties:
**E_HOMO (spin up / spin down)**: -8.00 / -8.36 eV
**Net charge**: 0
**ΔE to the lowest compared entry with this formula, charge and spin**: 677.4 kJ/mol

Geometry (Å):
1 C -1.044 0.794 -0.893
2 C 1.338 0.312 -0.036
3 C 1.517 -0.844 0.483
4 N -1.885 1.466 -0.353
5 O -1.693 2.238 0.746
6 Cl 2.431 1.608 -0.240
7 H -0.820 0.183 -1.782
8 H -2.513 2.531 0.918
9 H 2.480 -1.180 0.516
10 H 0.699 -1.543 0.827

These are the Löwdin partial charges, in e, on atoms 1 to 8: number 1, C, carries 0.056; number 2, C, carries -0.660; number 3, C, carries -0.134; number 4, N, carries -0.092; number 5, O, carries 0.032; number 6, Cl, carries 0.590; number 7, H, carries 0.078; number 8, H, carries 0.033

---

[2]
This record from the Open Molecules 2025 dataset describes C3H4ClNO in the gas phase at a distorted geometry. The level of theory is ωB97M-V with the def2-TZVPD basis set.

Computed properties:
**E_HOMO**: -10.30 eV
**Net charge**: 0
**ΔE to the lowest compared entry with this formula, charge and spin**: 64.6 kJ/mol

Geometry (Å):
1 H -1.070 2.397 -0.671
2 N -0.429 1.625 -0.469
3 C -0.964 0.536 -0.052
4 Cl -2.710 0.319 0.176
5 C -0.158 -0.752 0.011
6 C 1.261 -0.571 0.211
7 O -0.682 -1.818 -0.145
8 H 1.673 0.282 -0.339
9 H 1.809 -1.504 -0.091
10 H 1.270 -0.513 1.370

These are the Löwdin partial charges, in e, on atoms 1 to 8: number 1, H, carries 0.066; number 2, N, carries 0.120; number 3, C, carries -0.681; number 4, Cl, carries 0.645; number 5, C, carries -0.536; number 6, C, carries -0.033; number 7, O, carries 0.091; number 8, H, carries 0.081

---

[3]
This record from the Open Molecules 2025 dataset describes 2 unconnected molecules or ions with the total composition C3H4ClNS at a distorted geometry. The level of theory is ωB97M-V with the def2-TZVPD basis set.

Computed properties:
**E_HOMO (spin up / spin down)**: -8.98 / -8.98 eV
**Net charge**: 0
**ΔE to the lowest compared entry with this formula, charge and spin**: 233.4 kJ/mol

Geometry (Å):
1 C 2.677 -2.228 1.052
2 C -0.031 -0.068 -0.548
3 C 0.022 -0.760 0.690
4 N 2.551 -3.377 0.951
5 S 2.650 -0.618 1.424
6 Cl 0.053 -2.497 0.573
7 H 0.367 0.873 -0.365
8 H -0.998 0.144 -0.816
9 H 0.483 -0.635 -1.385
10 H -0.049 -0.426 1.731

These are the Löwdin partial charges, in e, on atoms 1 to 8: number 1, C, carries -0.972; number 2, C, carries -0.181; number 3, C, carries -0.545; number 4, N, carries 0.007; number 5, S, carries 0.630; number 6, Cl, carries 0.737; number 7, H, carries 0.066; number 8, H, carries 0.066

---

[4]
This record from the Open Molecules 2025 dataset describes 2 unconnected molecules or ions with the total composition C3H4ClNS2 at a distorted geometry. The level of theory is ωB97M-V with the def2-TZVPD basis set.

Computed properties:
**E_HOMO**: -8.53 eV
**Net charge**: 0
**ΔE to the lowest compared entry with this formula, charge and spin**: 497.9 kJ/mol

Geometry (Å):
1 C -0.264 0.256 0.886
2 C -0.240 -1.350 -1.282
3 C 0.433 -0.603 -2.225
4 H -0.244 1.586 4.446
5 H 0.780 0.119 0.653
6 H 0.061 -2.359 -1.389
7 H 1.075 -0.918 -2.876
8 N -0.817 0.976 1.791
9 S 0.199 2.212 2.367
10 S -1.131 -0.972 0.079
11 Cl 0.148 1.053 -2.450

These are the Löwdin partial charges, in e, on atoms 1 to 8: number 1, C, carries -0.695; number 2, C, carries -0.559; number 3, C, carries -0.586; number 4, H, carries 0.100; number 5, H, carries 0.064; number 6, H, carries 0.051; number 7, H, carries -0.011; number 8, N, carries -0.511

---

| no. | M (g/mol) |
| --- | --- |
| 1 | 105.524 |
| 2 | 105.524 |
| 3 | 121.592 |
| 4 | 153.659 |


Record 1
{
  "formula": "C11H31Cl4O10P",
  "method": "ωB97M-V/def2-TZVPD",
____________

Next, give back the part of the notes further up that starts with the line with "**E_HOMO**: -10.30" and stops after the one with "-1.131 -0.972".

**E_HOMO**: -10.30 eV
**Net charge**: 0
**ΔE to the lowest compared entry with this formula, charge and spin**: 64.6 kJ/mol

Geometry (Å):
1 H -1.070 2.397 -0.671
2 N -0.429 1.625 -0.469
3 C -0.964 0.536 -0.052
4 Cl -2.710 0.319 0.176
5 C -0.158 -0.752 0.011
6 C 1.261 -0.571 0.211
7 O -0.682 -1.818 -0.145
8 H 1.673 0.282 -0.339
9 H 1.809 -1.504 -0.091
10 H 1.270 -0.513 1.370

These are the Löwdin partial charges, in e, on atoms 1 to 8: number 1, H, carries 0.066; number 2, N, carries 0.120; number 3, C, carries -0.681; number 4, Cl, carries 0.645; number 5, C, carries -0.536; number 6, C, carries -0.033; number 7, O, carries 0.091; number 8, H, carries 0.081

---

[3]
This record from the Open Molecules 2025 dataset describes 2 unconnected molecules or ions with the total composition C3H4ClNS at a distorted geometry. The level of theory is ωB97M-V with the def2-TZVPD basis set.

Computed properties:
**E_HOMO (spin up / spin down)**: -8.98 / -8.98 eV
**Net charge**: 0
**ΔE to the lowest compared entry with this formula, charge and spin**: 233.4 kJ/mol

Geometry (Å):
1 C 2.677 -2.228 1.052
2 C -0.031 -0.068 -0.548
3 C 0.022 -0.760 0.690
4 N 2.551 -3.377 0.951
5 S 2.650 -0.618 1.424
6 Cl 0.053 -2.497 0.573
7 H 0.367 0.873 -0.365
8 H -0.998 0.144 -0.816
9 H 0.483 -0.635 -1.385
10 H -0.049 -0.426 1.731

These are the Löwdin partial charges, in e, on atoms 1 to 8: number 1, C, carries -0.972; number 2, C, carries -0.181; number 3, C, carries -0.545; number 4, N, carries 0.007; number 5, S, carries 0.630; number 6, Cl, carries 0.737; number 7, H, carries 0.066; number 8, H, carries 0.066

---

[4]
This record from the Open Molecules 2025 dataset describes 2 unconnected molecules or ions with the total composition C3H4ClNS2 at a distorted geometry. The level of theory is ωB97M-V with the def2-TZVPD basis set.

Computed properties:
**E_HOMO**: -8.53 eV
**Net charge**: 0
**ΔE to the lowest compared entry with this formula, charge and spin**: 497.9 kJ/mol

Geometry (Å):
1 C -0.264 0.256 0.886
2 C -0.240 -1.350 -1.282
3 C 0.433 -0.603 -2.225
4 H -0.244 1.586 4.446
5 H 0.780 0.119 0.653
6 H 0.061 -2.359 -1.389
7 H 1.075 -0.918 -2.876
8 N -0.817 0.976 1.791
9 S 0.199 2.212 2.367
10 S -1.131 -0.972 0.079